Meghan Markle’s Nigeria Event Marred by Cultural Missteps and Lack of Substance

Meghan Markle’s decision to co-host a women in leadership event in Nigeria’s capital, Abuja, alongside Ngozi Okonjo-Iweala, the Director-General of the World Trade Organization, marked a significant departure from her previous engagements with Prince Harry. However, her arrival at the event was marred by a series of missteps that highlighted her lack of awareness and disregard for cultural sensitivities.

Arrival and Punctuality Issues

Upon her arrival, Meghan missed the mark by arriving almost an hour late to the event. This display of tardiness not only showed a lack of respect for the organizers and attendees but also demonstrated a disregard for the value of punctuality in professional settings.

Controversial Attire Choice

Furthermore, her choice of attire further fueled controversy. Opting for a dress with spaghetti straps and revealing too much flesh, Meghan clearly disregarded the appropriate dress codes expected in a conservative Muslim nation like Nigeria. This lack of empathy and apparent narcissistic behavior left many questioning her understanding of cultural norms and expectations.

Lukewarm Reception

As Meghan took the stage, the applause was notably scarce, with only a few faint claps heard. In sharp contrast, the other speaker received an enthusiastic response from the audience. It sounded like one person, likely a hired supporter, clapping loudly and excessively, attempting to compensate for the lack of genuine enthusiasm from the rest of the attendees. This paid reception undoubtedly disappointed Meghan, fueling her narcissistic tendencies and highlighting the gap between her self-perception and the reality of her reception.

Underwhelming Performance

The following is a computed PXRD pattern of AcZrFe2O6. It was derived from a PBE+U-relaxed structure, using CuKα.
Lines closer than 0.1° are merged.

Atomic structure:
```
AcZrFe2O6
1.0
5.449 0.000 0.000
-2.717 4.746 0.000
-2.647 -1.617 4.875
Ac Zr Fe O
1 1 2 6
Direct
0.000 0.000 0.000 Ac
0.944 0.471 0.419 Zr
0.517 0.257 0.780 Fe
0.548 0.775 0.324 Fe
0.016 0.145 0.560 O
0.062 0.470 0.108 O
0.414 0.878 0.570 O
0.512 0.044 0.112 O
0.636 0.586 0.102 O
0.685 0.545 0.564 O
```

The 10 most intense peaks (2θ = 15–90°), sorted by position:
19.7 deg, d 4.511, rel. 31; 22.3 deg, d 3.992, rel. 55; 22.6 deg, d 3.935, rel. 27; 30.7 deg, d 2.916, rel. 52; 31.0 deg, d 2.882, rel. 100; 32.7 deg, d 2.736, rel. 90; 32.9 deg, d 2.724, rel. 45; 45.4 deg, d 1.996, rel. 45; 46.1 deg, d 1.967, rel. 21; 57.0 deg, d 1.615, rel. 19


# 1
Starting from a cell relaxed with PBE, the XRD peak list of PmPrSm6Ho2 was simulated for CuKα.

Cell and atoms:
a b c (Å): 9.286 15.205 9.685
angles (deg): 90.00 97.08 90.00
Space group C2/c (No. 15)
One atom of each set of equivalent atoms:
Pm (0.000, 0.092, 0.250) (multiplicity 4)
Pr (0.000, 0.470, 0.750) (multiplicity 4)
Sm (0.066, 0.320, 0.444) (multiplicity 8)
Sm (0.096, 0.109, 0.619) (multiplicity 8)
Sm (0.210, 0.273, 0.818) (multiplicity 8)
Ho (0.249, 0.450, 0.048) (multiplicity 8)

Principal peaks in the range 2θ = 10–80°, sorted by position:
two_theta	I (rel.)	index
28.16	67.7	1 3 2
30.01	95.9	3 1 -1
30.27	77.8	0 2 3
30.82	100.0	2 2 2
30.97	62.3	1 5 0
33.50	66.0	1 3 -3

# 2
Starting from a cell relaxed with PBE, the XRD peak list of TbPmPr2Ho4 was simulated for CuKα.

Cell and atoms:
a b c (Å): 5.089 5.119 10.055
angles (deg): 90.00 90.00 90.00
Space group Pmmm (No. 47)
One atom of each set of equivalent atoms:
Tb (0.000, 0.000, 0.000) (multiplicity 1)
Pm (0.500, 0.500, 0.500) (multiplicity 1)
Pr (0.000, 0.000, 0.500) (multiplicity 1)
Pr (0.500, 0.500, 0.000) (multiplicity 1)
Ho (0.000, 0.500, 0.249) (multiplicity 2)
Ho (0.500, 0.000, 0.248) (multiplicity 2)

Principal peaks in the range 2θ = 10–80°, sorted by position:
two_theta	I (rel.)	index
30.49	100.0	1 1 2
35.06	17.3	0 2 0
35.27	17.0	2 0 0
35.72	16.4	0 0 4
60.08	14.6	1 3 2
60.36	14.4	3 1 2

# 3
Starting from a cell relaxed with PBE, the XRD peak list of Tb4PmPrHo2 was simulated for CuKα.

Cell and atoms:
a b c (Å): 7.191 7.193 11.588
angles (deg): 89.99 89.98 60.02
Space group P-1 (No. 2)
One atom of each set of equivalent atoms:
Tb (0.167, 0.166, 0.252) (multiplicity 2)
Tb (0.167, 0.667, 0.252) (multiplicity 2)
Tb (0.333, 0.333, 0.748) (multiplicity 2)
Tb (0.333, 0.833, 0.748) (multiplicity 2)
Pm (0.000, 0.000, 0.000) (multiplicity 1)
Pm (0.500, 0.000, 0.500) (multiplicity 1)
Pr (0.500, 0.000, 0.000) (multiplicity 1)
Pr (0.500, 0.500, 0.000) (multiplicity 1)
Ho (0.000, 0.000, 0.500) (multiplicity 1)
Ho (0.000, 0.500, 0.000) (multiplicity 1)
Ho (0.000, 0.500, 0.500) (multiplicity 1)
Ho (0.500, 0.500, 0.500) (multiplicity 1)

Meghan’s lackluster entrance was only the beginning of her underwhelming performance at the event. Despite being touted as a woman in leadership, she failed to offer anything of substance or showcase her expertise in any field. Instead, she rambled about her experiences as a mother, sharing anecdotes about her children, Archie and Lilibet. Her attempts to portray herself as a leader fell flat as she lacked substantial achievements or experiences in leadership roles.

Disconnect from Working Mothers

Megan’s comments about balancing motherhood and her career seemed disingenuous given her privileged lifestyle and reliance on staff and nannies to assist with childcare responsibilities. Her constant shifting of priorities and self-centered behavior only served to highlight her disconnect from the realities faced by working mothers who do not have the same level of support and resources.

Lack of Substance in Panel Discussion

During the panel discussion, Meghan’s contributions were lacking in substance and relevance. Instead of offering insightful economic insights or engaging in a meaningful discussion on women in leadership, she seemed more interested in showcasing her personal experiences and emphasizing her role as a mother. Her attempts to position herself as a leader felt hollow and unconvincing as she lacked any tangible achievements or evidence of her leadership abilities.

Misguided Remarks and Forced Connections

In a moment that further highlighted her disconnect, Meghan thanked Nigerians for welcoming her “to my country,” a statement that seemed out of touch and failed to resonate with the audience. Her attempt to align herself with the local culture by mentioning fashion and expressing a desire to fit in felt forced and insincere. It became apparent that her priorities were more focused on self-image and public perception rather than fostering genuine connections and understanding with the people she was addressing.

Attached: records of crystals =
+++
Entry 1:
Structure and calculated powder diffractogram of Sm2Tm3In (DFT lattice parameters and positions (PBE); Cu Kα (λ = 1.5418 Å)).
No peak broadening, texture or thermal motion is included.

Cell and atoms:
Cell: 4.843 15.031 4.886 Å, 90.00 90.00 90.00°
Space group Cmmm (No. 65)
Symmetry-distinct sites (fractional):
Sm: 0.000 0.162 0.000 (multiplicity 4)
Tm: 0.000 0.000 0.500 (multiplicity 2)
Tm: 0.000 0.334 0.500 (multiplicity 4)
In: 0.000 0.500 0.000 (multiplicity 2)

Main lines, low angle first (2θ from 10° to 90°):
index, 2theta, intensity
1 3 1, 31.5, 1000
0 6 0, 35.8, 176
0 0 2, 36.8, 166
2 0 0, 37.1, 162
0 6 2, 52.3, 120
2 6 0, 52.6, 118
1 9 1, 61.7, 144
1 3 3, 63.0, 138
3 3 1, 63.5, 135
2 6 2, 65.9, 120

***

Entry 2:
Structure and calculated powder diffractogram of YSiRh2 (DFT lattice parameters and positions (PBE); Cu Kα (λ = 1.5418 Å)).
No peak broadening, texture or thermal motion is included.

Cell and atoms:
Cell: 3.940 3.940 9.291 Å, 90.00 90.00 90.00°
Space group P4/nmm (No. 129, origin choice 2)
Symmetry-distinct sites (fractional):
Y: 0.250 0.250 0.208 (multiplicity 2)
Si: 0.250 0.250 0.646 (multiplicity 2)
Rh: 0.250 0.250 0.896 (multiplicity 2)
Rh: 0.250 0.750 0.500 (multiplicity 2)

Main lines, low angle first (2θ from 10° to 90°):
index, 2theta, intensity
0 0 3, 28.8, 327
1 1 0, 32.1, 210
1 1 1, 33.6, 1000
1 0 3, 36.9, 597
1 1 2, 37.6, 504
1 0 4, 45.3, 239
2 0 0, 46.1, 575
1 1 4, 51.2, 240
2 0 3, 55.3, 205
2 1 3, 60.4, 274

***

Entry 3:
Structure and calculated powder diffractogram of Zr7Zn (DFT lattice parameters and positions (PBE); Cu Kα (λ = 1.5418 Å)).
No peak broadening, texture or thermal motion is included.

Cell and atoms:
Cell: 4.450 4.450 8.919 Å, 90.00 90.00 90.00°
Space group P4/mmm (No. 123)
Symmetry-distinct sites (fractional):
Zr: 0.000 0.000 0.000 (multiplicity 1)
Zr: 0.000 0.000 0.500 (multiplicity 1)
Zr: 0.000 0.500 0.243 (multiplicity 4)
Zr: 0.500 0.500 0.500 (multiplicity 1)
Zn: 0.500 0.500 0.000 (multiplicity 1)

Main lines, low angle first (2θ from 10° to 90°):
index, 2theta, intensity
0 0 3, 30.1, 8
1 1 2, 34.9, 1000
2 0 0, 40.5, 490
2 2 0, 58.6, 318
1 1 6, 70.0, 119
3 1 2, 70.1, 244
2 2 4, 73.7, 104
0 0 8, 87.5, 16
4 0 0, 87.7, 34
2 0 7, 88.5, 5

***

Entry 4:
Structure and calculated powder diffractogram of DyB4W2 (DFT lattice parameters and positions (PBE); Cu Kα (λ = 1.5418 Å)).
No peak broadening, texture or thermal motion is included.

Cell and atoms:
Cell: 13.138 4.508 5.852 Å, 90.00 102.78 90.00°
Space group C2/c (No. 15)
Symmetry-distinct sites (fractional):
Dy: 0.000 0.231 0.250 (multiplicity 4)
B: 0.118 0.292 0.811 (multiplicity 8)
B: 0.147 0.498 0.575 (multiplicity 8)
W: 0.216 0.007 0.606 (multiplicity 8)

Main lines, low angle first (2θ from 10° to 90°):
index, 2theta, intensity
2 0 0, 13.8, 802
1 1 -1, 25.2, 313
4 0 0, 27.9, 700
1 1 -2, 36.6, 564
2 0 2, 37.3, 714
3 1 -2, 39.3, 1000
5 1 0, 40.5, 566
2 2 0, 42.5, 815
6 0 2, 59.6, 336
4 2 2, 63.5, 446

~~~~~

Entry 1:
+++

Superficial Exploration of Heritage

********
The following is a simulated XRD peak list of Sm2YSc6. It was derived from a structure optimized by DFT (PBE), using copper Kα.

Principal peaks in the range 10 to 90 degrees two-theta, by angle:
d/Å, I_rel
4.630, 45
2.686, 100
2.673, 78
1.895, 35
1.546, 36
1.403, 20

Cell and atoms:
a b c (Å): 9.260 9.260 3.297
angles (deg): 90.00 90.00 120.00
Fractional coordinates of all 9 atoms:
1 Sm 0.333 0.667 0.000
2 Sm 0.667 0.333 0.000
3 Y 0.000 0.000 0.000
4 Sc 0.000 0.332 0.500
5 Sc 0.000 0.668 0.500
6 Sc 0.332 0.000 0.500
7 Sc 0.332 0.332 0.500
8 Sc 0.668 0.000 0.500
9 Sc 0.668 0.668 0.500

* * * * *

Calculated powder diffraction line list
Compound: YbPO4
Radiation: Cu Kα
Structure: a structure optimized by DFT (PBE)
Peak positions follow from Bragg's law for the DFT cell and can differ from measured ones.

Main lines, low angle first (15° ≤ 2θ ≤ 90°):
hkl	two_theta	Rel. int.
1 0 1	19.77	507
1 1 2	30.26	1000
0 0 4	31.50	182
2 0 0	36.76	208
2 1 1	42.08	242
1 2 3	48.05	192
2 0 4	49.17	271
1 3 2	62.22	246

Crystal structure
a = 4.890 Å, b = 4.890 Å, c = 11.359 Å
α = 90.00°, β = 90.00°, γ = 90.00°
Space group I4_1/a (No. 88, origin choice 2)
One atom of each set of equivalent atoms:
Yb 0.000 0.250 0.125 (multiplicity 4)
P 0.000 0.250 0.625 (multiplicity 4)
O 0.120 0.491 0.698 (multiplicity 16)

* * * * *

For Ta12Al, a cell relaxed with PBE gives the calculated powder diffraction line list in this record (Cu Kα (weighted mean of Kα1 and Kα2)).
Lines closer than 0.1° are merged.

Structural model:
a b c (Å): 10.2235 10.2235 10.2235
angles (deg): 30.22 30.22 30.22
Fractional positions:
Ta (0.0443, 0.0443, 0.0443)
Ta (0.0877, 0.5917, 0.5917)
Ta (0.1499, 0.1499, 0.1499)
Ta (0.3341, 0.3341, 0.3341)
Ta (0.4083, 0.4083, 0.9123)
Ta (0.4083, 0.9123, 0.4083)
Ta (0.5917, 0.0877, 0.5917)
Ta (0.5917, 0.5917, 0.0877)
Ta (0.6659, 0.6659, 0.6659)
Ta (0.8501, 0.8501, 0.8501)
Ta (0.9123, 0.4083, 0.4083)
Ta (0.9557, 0.9557, 0.9557)
Al (0.5000, 0.5000, 0.5000)

Main lines, sorted by position (15 to 90 degrees two-theta):
33.6°, I = 30; 36.4°, I = 58; 38.5°, I = 72; 39.1°, I = 100; 41.0°, I = 30; 42.1°, I = 39; 61.9°, I = 24; 70.7°, I = 30

* * * * *

This entry pairs a crystal structure of Dy3Rh with its computed X-ray diffraction stick pattern. Radiation: Cu Kα, 1.54184 Å. Structure: the GGA-PBE geometry in the Materials Project.

Peak list (6 most intense, 15° ≤ 2θ ≤ 90°, by angle)
- 2θ 30.31, I = 47
- 2θ 31.27, I = 100
- 2θ 31.58, I = 81
- 2θ 32.64, I = 85
- 2θ 34.05, I = 54
- 2θ 34.51, I = 64

Crystal structure
```
16
Lattice="7.141 0.000 0.000 0.000 9.533 0.000 0.000 0.000 6.255" Properties=species:S:1:pos:R:3 pbc="T T T"
Dy 0.223 2.383 0.835
Dy 1.270 0.599 4.188
Dy 1.270 4.167 4.188
Dy 2.301 5.366 1.060
Dy 2.301 8.934 1.060
Dy 3.347 7.150 3.963
Dy 3.793 2.383 2.292
Dy 4.840 0.599 5.195
Dy 4.840 4.167 5.195
Dy 5.871 5.366 2.067
Dy 5.871 8.934 2.067
Dy 6.918 7.150 5.420
Rh 0.840 7.150 2.746
Rh 2.731 2.383 5.874
Rh 4.410 7.150 0.382
Rh 6.301 2.383 3.509
```
********
End of the materials data:

When asked about her discovery of being 43% Nigerian through a genealogy test, Meghan’s response was to immediately call her mother for confirmation. While she described the experience as eye-opening and humbling, indicating an interest in exploring her heritage, it also seemed to be a fleeting moment of connection without any deeper exploration or understanding of what it truly means to be part of a culture and heritage.

Conclusion: A Missed Opportunity

In conclusion, Meghan’s presence at the event did little to inspire confidence or admiration. She failed to offer anything of substance and instead resorted to self-aggrandizement and empty rhetoric. It became clear that her inflated sense of self-importance far exceeded her actual contributions or abilities. Her disconnect from reality, lack of cultural sensitivity, and superficial approach to the event left many disappointed and questioning her suitability as a representative of women in leadership.